#8 - Looking for Love

_Attached: data records_
........
CaTaH2Pt: optimized geometry, PBE.

Cell: 3.7716 3.7716 6.0547 Å, 90.00 90.00 90.00°
With the nearest neighbours (Å) after each atom.
Space group P4/mmm (No. 123)
Inequivalent atoms, fractional coordinates:
Ca (0.0000, 0.0000, 0.0000) (multiplicity 1)  4 Pt 2.67
Ta (0.0000, 0.0000, 0.5000) (multiplicity 1)  4 H 1.89
H (0.0000, 0.5000, 0.5000) (multiplicity 2)  2 Ta 1.89
Pt (0.5000, 0.5000, 0.0000) (multiplicity 1)  4 Ca 2.67

Output
* DFT total energy: -4.6497 eV/atom
* mass density: 8.1 g/cm³
* Fermi-level density of states: 2.2 states/eV/cell


NaDyTlIn: optimized geometry, PBE.

Cell: 3.8455 5.2472 5.2748 Å, 90.00 90.00 90.00°
With the nearest neighbours (Å) after each atom.
Space group Pmmm (No. 47)
Inequivalent atoms, fractional coordinates:
Na (0.0000, 0.0000, 0.0000) (multiplicity 1)  4 Tl 3.25, 4 In 3.26
Dy (0.0000, 0.5000, 0.5000) (multiplicity 1)  4 In 3.25, 4 Tl 3.26
Tl (0.5000, 0.5000, 0.0000) (multiplicity 1)  4 Na 3.25, 4 Dy 3.26
In (0.5000, 0.0000, 0.5000) (multiplicity 1)  4 Dy 3.25, 4 Na 3.26

Output
* formation energy: -275 meV/atom
* mass density: 7.9 g/cm³
* Fermi-level density of states: 2.1 states/eV/cell


EuMgAg2: optimized geometry, PBE.

Cell: 5.0477 5.0477 3.7369 Å, 90.00 90.00 90.00°
With the nearest neighbours (Å) after each atom.
Space group P4/mmm (No. 123)
Inequivalent atoms, fractional coordinates:
Eu (0.0000, 0.0000, 0.0000) (multiplicity 1)  8 Ag 3.14
Mg (0.5000, 0.5000, 0.0000) (multiplicity 1)  8 Ag 3.14
Ag (0.0000, 0.5000, 0.5000) (multiplicity 2)  4 Mg 3.14, 4 Eu 3.14

Output
* formation energy: -148 meV/atom
* mass density: 6.8 g/cm³
* Fermi-level density of states: 9.2 states/eV/cell


PtS4Br: optimized geometry, PBE.

Cell: 9.7409 11.2203 6.0820 Å, 90.00 102.41 90.00°
With the nearest neighbours (Å) after each atom.
Space group C2/c (No. 15)
Inequivalent atoms, fractional coordinates:
Pt (0.0000, 0.1066, 0.2500) (multiplicity 4)  6 S 2.39-2.60
S (0.0873, 0.0862, 0.8764) (multiplicity 8)  1 S 2.03
S (0.0869, 0.3024, 0.3690) (multiplicity 8)  1 S 1.98
Br (0.0000, 0.3626, 0.7500) (multiplicity 4)  2 S 2.72

Output
* mass density: 4.1 g/cm³
* Fermi-level density of states: 12.0 states/eV/cell
* raw formation energy: 0.087 eV/atom


CsTlAu4: optimized geometry, PBE.

Cell: 8.3795 8.3795 8.3795 Å, 90.00 90.00 90.00°
With the nearest neighbours (Å) after each atom.
Space group F-43m (No. 216)
Inequivalent atoms, fractional coordinates:
Cs (0.0000, 0.0000, 0.0000) (multiplicity 4)  12 Au 3.47, 4 Tl 3.63
Tl (0.2500, 0.2500, 0.2500) (multiplicity 4)  12 Au 3.47, 4 Cs 3.63
Au (0.1248, 0.1248, 0.6248) (multiplicity 16)  6 Au 2.96-2.97

Output
* formation energy: 9 meV/atom
* mass density: 12.7 g/cm³
* Fermi-level density of states: 27.2 states/eV/cell


Pm6PtRh3: optimized geometry, PBE.

Cell: 10.9876 14.2184 7.1076 Å, 90.00 90.00 90.00°
With the nearest neighbours (Å) after each atom.
Space group Cmc2_1 (No. 36)
Inequivalent atoms, fractional coordinates:
........

Rather than asking yourself what type of partner you'd like next, ask yourself "Where am I looking for Love?".

Next to the page, the page also holds materials data.
........
SrPm2MnO5: optimized geometry, GGA+U.

Total energy, eV for the cell shown: -135.9
Space-group type: P4/mbm (127)
DOS(E_F), states/eV/cell: 0.00
Spin magnetization, μB per formula unit: 3.00

Cell: 6.7082 6.7082 5.7403 Å, 90.00 90.00 90.00°
Sites, in units of the cell vectors:
1 Sr 0.0000 0.0000 0.0000
2 Sr 0.5000 0.5000 0.0000
3 Pm 0.1734 0.3266 0.5000
4 Pm 0.3266 0.8266 0.5000
5 Pm 0.6734 0.1734 0.5000
6 Pm 0.8266 0.6734 0.5000
7 Mn 0.0000 0.5000 0.0000
8 Mn 0.5000 0.0000 0.0000
9 O 0.0000 0.0000 0.5000
10 O 0.1387 0.6387 0.2417
11 O 0.1387 0.6387 0.7583
12 O 0.3613 0.1387 0.2417
13 O 0.3613 0.1387 0.7583
14 O 0.5000 0.5000 0.5000
15 O 0.6387 0.8613 0.2417
16 O 0.6387 0.8613 0.7583
17 O 0.8613 0.3613 0.2417
18 O 0.8613 0.3613 0.7583
........

Disconnected from the Higher Self you walk through life numb and sedated. Unaware of your true abilities and power you're continuously thinking. This mind process is an ongoing stream of thoughts on the level of the lower-Self, the parts of you which we call the person, the individual. This part is also called the Ego-Self.

The majority of humans live in this level totally disconnected from their Higher Parts, meaning one lives in the duality of lower level energy awareness not even realising there is a higher level.

And stuck in this lower level of life on Earth, all are looking for Love.

In search for the right partner people meet, go on dates, join dating sites. In some cases the account is created by a friend or loved one who really cares and hopes you to find this new partner asap.

When the new partner is found all is well again… for a while. Unfortunately this never lasts. Whether after some months or years, at one point the old patterns resurface and the relationship withers or breaks. Lonely you think you've got it now, you start dating again, looking for Love in the same level of awareness.

As long as you keep repeating the pattern, without ever asking yourself "What is this telling me?", you will continue to suffer unsatisfying relationships and break ups. Over time the pain and suffering only gets worse until you finally start wondering what it is you are doing wrong.

The answer is simple, you are looking for Love in the wrong places.

Ask yourself,

  • Why are you looking for Love outside of yourself?
  • What is it (you think) this other person could give to you that (you think) you cannot give to yourself?
  • Where do you think True Love comes from?

To find the answers to these questions, first, you need to learn and acknowledge that Love isn't a thing. All is Energy, remember. You are Energy. I am Energy. All people, animals, plants are Energy. All words, actions, gestures, moves, intentions, etc. are Energy. But let's stick with the topic Love and Humans.

He who looks for Love outside of himself, lacks Love in his own Heart.

Male or female, you cannot find Love, you can only BECOME it.

The Energy of Love is the Highest Frequency vibration in the Universal Energy Field. If you personally lack Love, then it's up to you to create it WITHIN you. Not any other person (nor animal, as in a pet) can give you the Love you need to cultivate for the Self. Others can help, they can show you a way, but creating the vibration of Love in your Heart can only be done by You.

It's never too late to start opening your Heart and healing your inner wounds so to make space for this High Vibrational Frequency of Love and to let it enter your Human Energy Field. Let it enter and flow through your person, your personality, your individuality.

Once your vessel (your lower human body and mind) is cleared and cleansed and overflowing with LOVE, you won't be looking for it, for then you ARE it.

You'll enjoy being, doing, living and loving as a Human on this Planet from a Higher Level of Awareness, together with all others who have done their INNER work.

Together we create a New Matrix of existence, a world created from the level of LOVE.

Let's ALL Do Our Share.

Let's ALL Contribute Our Part.

Become it.